# Activity
Set down all of the notes underneath word for word.
# Excerpt
____________
The following is a DFT calculation (ωB97M-V/def2-TZVPD) of the molecule C4H8ClNS in a non-equilibrium geometry.

Structure (XYZ):
```
15
Properties=species:S:1:pos:R:3:forces:R:3
C 0.010 0.796 -0.033 3.93 -1.28 2.14
C -0.795 -0.459 0.045 1.20 -1.74 -1.38
C 2.206 0.026 -0.898 -3.94 0.54 0.95
C -1.801 -0.288 1.170 0.33 -2.06 -1.18
N 1.023 0.664 -1.049 0.95 -0.93 -2.23
S 0.258 -2.082 0.096 -0.35 2.19 0.15
Cl 3.138 0.252 0.460 0.33 0.12 0.38
H -0.589 1.570 -0.257 -2.19 2.89 -1.04
H 0.556 1.090 0.888 -0.52 -0.52 -0.13
H -1.195 -0.567 -0.990 -0.64 0.21 0.80
H 2.621 -0.512 -1.698 0.49 -0.38 -1.00
H -1.220 -0.517 2.050 -0.28 -0.29 0.61
H -2.489 -1.109 0.879 -0.29 0.78 1.22
H -2.231 0.692 1.282 -0.43 0.35 -0.34
H 0.509 0.444 -1.947 1.41 0.12 1.04
```
Forces are in eV/Å.

Summary:
HOMO-LUMO gap (alpha / beta) in eV: 6.27 / 6.28
Max |F| in eV/Å: 4.7
Highest occupied orbital energy (alpha / beta) in eV: -7.16 / -7.17

natural (NBO) population analysis, charges in e, atoms 1 to 4: -0.241, -0.309, 0.137, -0.636

***

The following is a DFT calculation (ωB97M-V/def2-TZVPD) of the molecule C7H10S in a non-equilibrium geometry.

Structure (XYZ):
```
18
Properties=species:S:1:pos:R:3:forces:R:3
C 1.123 1.794 -0.887 0.00 -1.39 -0.34
C 1.207 1.346 0.539 0.30 0.07 0.74
C 1.076 0.133 1.078 0.64 0.32 0.25
C 0.890 -1.153 0.362 -1.13 1.45 0.76
C -0.506 -1.695 0.525 0.19 -0.70 0.50
C -1.443 -1.071 -0.472 -0.42 0.10 -0.84
C -2.360 -0.118 -0.276 0.29 -0.42 -0.75
H 0.429 2.628 -1.024 0.20 -0.08 0.06
H 0.804 0.934 -1.532 0.16 0.81 0.43
H 2.133 2.068 -1.207 -0.19 0.24 -0.12
H 1.514 2.087 1.282 -0.41 0.24 -0.31
H 1.167 0.077 2.184 -0.10 -0.21 -0.78
H -0.877 -1.579 1.553 0.14 0.40 -0.19
H -0.355 -2.767 0.406 -0.68 -0.18 -0.45
H -1.336 -1.416 -1.515 0.01 -0.11 0.62
H -2.479 0.396 0.668 -0.22 -0.10 0.10
H -2.997 0.166 -1.142 0.55 0.03 0.86
S 2.011 -1.827 -0.541 0.67 -0.46 -0.55
```
Forces are in eV/Å.

Summary:
SMILES string: C=CCC(=S)/C=C\C
HOMO-LUMO gap in eV: 8.42
Max |F| in eV/Å: 2.0
Highest occupied orbital energy in eV: -8.59

natural (NBO) population analysis, charges in e, atoms 1 to 4: -0.659, -0.131, -0.301, -0.082

***

The following is a DFT calculation (ωB97M-V/def2-TZVPD) of the molecule C13H17N3O4 in a non-equilibrium geometry.

Structure (XYZ):
```
37
Properties=species:S:1:pos:R:3:forces:R:3
C 0.894 -0.621 0.550 0.50 1.71 1.13
C -0.585 -0.305 0.576 -0.08 0.38 4.19
C 1.615 0.411 -0.407 0.69 -2.11 -0.49
C 3.138 0.399 -0.316 -0.87 0.16 0.86
C 3.834 1.480 0.230 -0.84 -0.22 -0.52
C 3.826 -0.742 -0.655 1.51 -1.97 -0.15
C 5.195 1.440 0.364 0.84 -0.52 -0.20
C 5.231 -0.813 -0.474 -0.16 1.64 0.40
C 5.932 0.316 0.012 -2.38 -1.25 -0.86
C -2.629 0.118 -0.595 -0.05 1.00 -0.19
C -2.751 1.628 -0.292 1.18 -0.74 -0.05
C -3.520 -0.691 0.320 -1.68 -0.53 -0.03
C -5.007 -0.550 -0.149 2.79 -1.61 0.21
H 0.872 -2.683 0.950 0.28 1.02 -0.29
H 0.689 -2.275 -0.597 0.08 -0.07 -0.42
H 1.205 -0.392 1.605 -0.11 -0.40 -0.95
H 1.408 0.022 -1.420 -0.31 0.56 0.11
H 1.210 1.396 -0.273 -0.31 0.42 0.01
H 3.255 2.361 0.471 0.14 0.17 0.22
H 3.303 -1.673 -0.982 0.38 1.12 0.18
H 5.740 2.266 0.723 0.35 1.09 0.45
H 5.864 -1.660 -0.677 -0.45 -0.49 -0.32
H 6.983 0.253 0.004 1.11 0.27 0.40
H -0.928 -0.887 -1.267 0.35 -0.18 -1.02
H -2.981 0.052 -1.636 0.01 -0.33 0.29
H -3.213 -1.756 0.208 -0.34 0.64 0.36
H -3.489 -0.338 1.349 0.50 -0.33 -0.08
H -6.806 0.069 0.391 1.15 -0.76 0.73
H -5.967 -0.704 1.705 0.59 0.59 -0.78
H -4.067 2.894 -0.172 -0.43 0.54 0.19
N 1.176 -1.992 0.240 -0.02 -1.44 0.17
N -1.251 -0.281 -0.558 -0.96 0.23 -1.09
N -5.884 -0.218 0.803 -3.20 0.84 0.74
O -1.139 -0.078 1.677 0.87 0.04 -1.77
O -1.810 2.387 -0.185 -1.72 -0.47 -0.16
O -5.272 -0.770 -1.300 -0.66 0.50 -1.14
O -4.073 1.935 -0.223 1.25 0.49 -0.09
```
Forces are in eV/Å.

Summary:
SMILES string: NC(=O)C[C@H](NC(=O)[C@@H](N)Cc1ccccc1)C(=O)O
HOMO-LUMO gap in eV: 9.33
Max |F| in eV/Å: 4.2
Highest occupied orbital energy in eV: -8.81
____________
# Reply
The following is a DFT calculation (ωB97M-V/def2-TZVPD) of the molecule C4H8ClNS in a non-equilibrium geometry.

Structure (XYZ):
```
15
Properties=species:S:1:pos:R:3:forces:R:3
C 0.010 0.796 -0.033 3.93 -1.28 2.14
C -0.795 -0.459 0.045 1.20 -1.74 -1.38
C 2.206 0.026 -0.898 -3.94 0.54 0.95
C -1.801 -0.288 1.170 0.33 -2.06 -1.18
N 1.023 0.664 -1.049 0.95 -0.93 -2.23
S 0.258 -2.082 0.096 -0.35 2.19 0.15
Cl 3.138 0.252 0.460 0.33 0.12 0.38
H -0.589 1.570 -0.257 -2.19 2.89 -1.04
H 0.556 1.090 0.888 -0.52 -0.52 -0.13
H -1.195 -0.567 -0.990 -0.64 0.21 0.80
H 2.621 -0.512 -1.698 0.49 -0.38 -1.00
H -1.220 -0.517 2.050 -0.28 -0.29 0.61
H -2.489 -1.109 0.879 -0.29 0.78 1.22
H -2.231 0.692 1.282 -0.43 0.35 -0.34
H 0.509 0.444 -1.947 1.41 0.12 1.04
```
Forces are in eV/Å.

Summary:
HOMO-LUMO gap (alpha / beta) in eV: 6.27 / 6.28
Max |F| in eV/Å: 4.7
Highest occupied orbital energy (alpha / beta) in eV: -7.16 / -7.17

natural (NBO) population analysis, charges in e, atoms 1 to 4: -0.241, -0.309, 0.137, -0.636

***

The following is a DFT calculation (ωB97M-V/def2-TZVPD) of the molecule C7H10S in a non-equilibrium geometry.

Structure (XYZ):
```
18
Properties=species:S:1:pos:R:3:forces:R:3
C 1.123 1.794 -0.887 0.00 -1.39 -0.34
C 1.207 1.346 0.539 0.30 0.07 0.74
C 1.076 0.133 1.078 0.64 0.32 0.25
C 0.890 -1.153 0.362 -1.13 1.45 0.76
C -0.506 -1.695 0.525 0.19 -0.70 0.50
C -1.443 -1.071 -0.472 -0.42 0.10 -0.84
C -2.360 -0.118 -0.276 0.29 -0.42 -0.75
H 0.429 2.628 -1.024 0.20 -0.08 0.06
H 0.804 0.934 -1.532 0.16 0.81 0.43
H 2.133 2.068 -1.207 -0.19 0.24 -0.12
H 1.514 2.087 1.282 -0.41 0.24 -0.31
H 1.167 0.077 2.184 -0.10 -0.21 -0.78
H -0.877 -1.579 1.553 0.14 0.40 -0.19
H -0.355 -2.767 0.406 -0.68 -0.18 -0.45
H -1.336 -1.416 -1.515 0.01 -0.11 0.62
H -2.479 0.396 0.668 -0.22 -0.10 0.10
H -2.997 0.166 -1.142 0.55 0.03 0.86
S 2.011 -1.827 -0.541 0.67 -0.46 -0.55
```
Forces are in eV/Å.

Summary:
SMILES string: C=CCC(=S)/C=C\C
HOMO-LUMO gap in eV: 8.42
Max |F| in eV/Å: 2.0
Highest occupied orbital energy in eV: -8.59

natural (NBO) population analysis, charges in e, atoms 1 to 4: -0.659, -0.131, -0.301, -0.082

***

The following is a DFT calculation (ωB97M-V/def2-TZVPD) of the molecule C13H17N3O4 in a non-equilibrium geometry.

Structure (XYZ):
```
37
Properties=species:S:1:pos:R:3:forces:R:3
C 0.894 -0.621 0.550 0.50 1.71 1.13
C -0.585 -0.305 0.576 -0.08 0.38 4.19
C 1.615 0.411 -0.407 0.69 -2.11 -0.49
C 3.138 0.399 -0.316 -0.87 0.16 0.86
C 3.834 1.480 0.230 -0.84 -0.22 -0.52
C 3.826 -0.742 -0.655 1.51 -1.97 -0.15
C 5.195 1.440 0.364 0.84 -0.52 -0.20
C 5.231 -0.813 -0.474 -0.16 1.64 0.40
C 5.932 0.316 0.012 -2.38 -1.25 -0.86
C -2.629 0.118 -0.595 -0.05 1.00 -0.19
C -2.751 1.628 -0.292 1.18 -0.74 -0.05
C -3.520 -0.691 0.320 -1.68 -0.53 -0.03
C -5.007 -0.550 -0.149 2.79 -1.61 0.21
H 0.872 -2.683 0.950 0.28 1.02 -0.29
H 0.689 -2.275 -0.597 0.08 -0.07 -0.42
H 1.205 -0.392 1.605 -0.11 -0.40 -0.95
H 1.408 0.022 -1.420 -0.31 0.56 0.11
H 1.210 1.396 -0.273 -0.31 0.42 0.01
H 3.255 2.361 0.471 0.14 0.17 0.22
H 3.303 -1.673 -0.982 0.38 1.12 0.18
H 5.740 2.266 0.723 0.35 1.09 0.45
H 5.864 -1.660 -0.677 -0.45 -0.49 -0.32
H 6.983 0.253 0.004 1.11 0.27 0.40
H -0.928 -0.887 -1.267 0.35 -0.18 -1.02
H -2.981 0.052 -1.636 0.01 -0.33 0.29
H -3.213 -1.756 0.208 -0.34 0.64 0.36
H -3.489 -0.338 1.349 0.50 -0.33 -0.08
H -6.806 0.069 0.391 1.15 -0.76 0.73
H -5.967 -0.704 1.705 0.59 0.59 -0.78
H -4.067 2.894 -0.172 -0.43 0.54 0.19
N 1.176 -1.992 0.240 -0.02 -1.44 0.17
N -1.251 -0.281 -0.558 -0.96 0.23 -1.09
N -5.884 -0.218 0.803 -3.20 0.84 0.74
O -1.139 -0.078 1.677 0.87 0.04 -1.77
O -1.810 2.387 -0.185 -1.72 -0.47 -0.16
O -5.272 -0.770 -1.300 -0.66 0.50 -1.14
O -4.073 1.935 -0.223 1.25 0.49 -0.09
```
Forces are in eV/Å.

Summary:
SMILES string: NC(=O)C[C@H](NC(=O)[C@@H](N)Cc1ccccc1)C(=O)O
HOMO-LUMO gap in eV: 9.33
Max |F| in eV/Å: 4.2
Highest occupied orbital energy in eV: -8.81